Waitematā has become the first Local Board to launch a community low carbon action plan. The plan came out of community concern about the lack of action on climate change that led to the Board in 2011 committing to develop a localised plan for reducing emissions that will focus on reducing energy use, sustainable transport options, waste reduction, local food production and more effective and cooperative use of resources and land.
On Wednesday 4 November the plan and a Low Carbon Community Network was launched by the Board at the Auckland Museum. The network is intended as a loose collaboration of all
those interested in climate change and forging a low carbon community. The Board aims to make the most of sharing the considerable ideas, news and events which make up our collective local knowledge.
At the launch the Museum’s Director of Corporate Servicecs Les Fleming described the huge success they have had in reducing their carbon footprint and took attendees on the roof to see the solar array which is contributing to their effort.
Becoming a Low Carbon Community: An action Plan.
Auckland Council Media release
28 October 2015
Waitematā is becoming a low carbon community
Waitematā is the first local board to create a localised carbon reduction plan which supports the region’s 10 year Energy Resilience and Low Carbon Action Plan.
Becoming a Low Carbon Community: An Action Plan, will be officially launched at the Auckland War Memorial Museum on November 4, 2015. The venue was chosen because it showcases energy resilient practices that are beneficial for both an organisation and the environment. Guest speaker Roy Clare, Director of the Museum, will talk about the museum’s initiatives and invite guests to a tour of the building’s roof-top solar panels.
The Low Carbon Action Plan provides a guide on how, from a local level, greenhouse emissions can be reduced through efficient energy use in both new and older buildings, smart reuse of waste products, sustainable transport options, local food production and through enhancing tree coverage.
“This plan is a positive step towards the region’s transformation to an energy-resilient low carbon city” says Deborah Yates, Waitematā Local Board member leading this project.
_Attached: materials data_
........
Entry from the Alexandria database: a relaxed La2ReRh crystal (PBE).

Summary:
distance to the lowest polymorph of the same formula: 0.1466 eV per atom
ΔE_f: 0.06 eV/atom

extended XYZ file:
```
8
Lattice="3.384 0.000 0.000 0.000 4.788 0.000 0.000 0.000 11.728" Properties=species:S:1:pos:R:3 pbc="T T T"
La 0.000 0.000 0.000
La 0.000 2.394 2.508
La 1.692 0.000 8.372
La 1.692 2.394 5.864
Re 0.000 0.000 5.276
Re 1.692 2.394 11.140
Rh 0.000 2.394 9.175
Rh 1.692 0.000 3.311
```

* * * * *

The following is a DFT calculation (PBE with a Hubbard U) of BeCoAuF2 after structural relaxation.

Lattice parameters (Å, degrees): 3.665 5.866 3.665 90.00 90.00 90.00
Last column: magnetic moment on the atom in μB.
Fractional coordinates of all 5 atoms:
1 F 0.500 0.000 0.000  0.17
2 Be 0.000 0.500 0.000  -0.02
3 Au 0.500 0.500 0.500  -0.02
4 Co 0.000 0.000 0.000  2.65
5 F 0.000 0.000 0.500  0.09

Output
Its crystal system is tetragonal. As for the space group: P4/mmm. As for the uncorrected energy: -0.2767 Ry/atom.

* * * * *

1.
Material: YTmPS
Method: DFT, PBE
State: optimized geometry Values from VASP.

The structure in Quantum ESPRESSO input format:
```
&SYSTEM
  ibrav = 0, nat = 4, ntyp = 4
/
ATOMIC_SPECIES
Y 88.91 Y.upf
Tm 168.93 Tm.upf
P 30.97 P.upf
S 32.06 S.upf
ATOMIC_POSITIONS angstrom
Y 0.0000 0.0000 0.0000
Tm 0.0000 0.0000 9.7944
P 0.0000 0.0000 4.8639
S 0.0000 0.0000 14.6045
CELL_PARAMETERS angstrom
1.9661 1.1351 6.4482
-1.9661 1.1351 6.4482
0.0000 -2.2702 6.4482
```

Properties
formation energy (no corrections): -1.859 eV per atom
magnetization: 0.0 μB per formula unit
SG: No. 160

=====

2.
Material: Dy3Er2Tm7
Method: DFT, PBE
State: optimized geometry Values from VASP.

The structure in Quantum ESPRESSO input format:
```
&SYSTEM
  ibrav = 0, nat = 12, ntyp = 3
/
ATOMIC_SPECIES
Dy 162.50 Dy.upf
Er 167.26 Er.upf
Tm 168.93 Tm.upf
ATOMIC_POSITIONS angstrom
Dy 0.0000 0.0000 0.0000
Dy 2.8674 12.8497 0.0000
Dy 2.8674 -12.8497 0.0000
Er 2.8674 6.4496 1.7706
Er 2.8674 -6.4496 1.7706
Tm 2.8674 15.6965 1.7706
Tm 2.8674 9.9301 1.7706
Tm 2.8674 3.3088 0.0000
Tm 2.8674 0.0000 1.7706
Tm 2.8674 -3.3088 0.0000
Tm 2.8674 -9.9301 1.7706
Tm 2.8674 -15.6965 1.7706
CELL_PARAMETERS angstrom
2.8674 -18.3724 0.0000
2.8674 18.3724 0.0000
0.0000 0.0000 3.5411
```

Properties
energy above the most stable polymorph in this dataset: 97 kJ/mol of formula units
energy of formation from the pure elements: 0.1689 eV per atom
magnetization: 0.0 μB per formula unit
SG: No. 65

=====

3.
Material: Pr4Sm2ErSc
Method: DFT, PBE
State: optimized geometry Values from VASP.

The structure in Quantum ESPRESSO input format:
```
&SYSTEM
  ibrav = 0, nat = 8, ntyp = 4
/
ATOMIC_SPECIES
Pr 140.91 Pr.upf
Sm 150.36 Sm.upf
Er 167.26 Er.upf
Sc 44.96 Sc.upf
ATOMIC_POSITIONS angstrom
Pr 0.0000 0.0000 2.4666
Pr 0.0000 0.0000 7.5866
Pr 2.5659 2.5771 2.4756
Pr 2.5659 2.5771 7.5776
Sm 0.0000 2.5771 0.0000
Sm 2.5659 0.0000 5.0266
Er 0.0000 2.5771 5.0266
Sc 2.5659 0.0000 0.0000
CELL_PARAMETERS angstrom
........
_So much for the materials data_
“We will also be launching a Low Carbon Community Network, which will bring together organisations, businesses, individuals and council staff to share their knowledge and work together on making better use of energy and reducing carbon.”
Rob Thomas, local board member who contributed to the plan, believes that “now more than ever there is a concerted global urgency to support communities to reduce greenhouse gas emissions and curb the rise in global temperatures,” and that “more New Zealand communities need to take up the challenge.”
Waitematā Local Board Chair Shale Chambers describes Waitematā as “an environmentally astute community, many businesses and schools already have practices in place that are low carbon effective. This plan aims to encourage such activities and support those who would like to do more.
“The whole community needs to get behind making the changes needed to transform Auckland and reach the target of 40 per cent reduction in greenhouse gas emissions by 2040. It also aligns with Council’s empowered communities’ strategy.”
A copy of the Low Carbon Action Plan can be downloaded from the Auckland Council website here, printed copies can be collected from the Waitematā Local Board Graham Street office.